bespectacled - Meaning in Hindi
Meaning of bespectacled in Hindi
- ऐनकवाला
bespectacled Definition
- (of a person) wearing eyeglasses. ( (किसी व्यक्ति का) चश्मा पहनना। )
bespectacled Example
- A bespectacled librarian came and sat behind me, commentating on the view throughout the journey for the benefit of his Japanese lady visitor. ( अपने जापानी महिला आगंतुक के लाभ के लिए यात्रा के दौरान पूरे दृश्य पर टिप्पणी करते हुए, एक बेबस लाइब्रेरियन मेरे पीछे आकर बैठ गया। )
- A short bespectacled woman in a laboratory coat greeted them. ( एक प्रयोगशाला कोट में एक छोटी bespectacled महिला ने उन्हें बधाई दी। )
• Misplaced materials data:
-- begin --
Record 1
A relaxed Nd5Dy3Ho crystal. Source: the Alexandria database, functional PBE.

Unit cell a=11.9177 b=11.8574 c=9.9588 alpha=90.00 beta=105.66 gamma=90.00
Space group C2/m (No. 12)
One atom of each set of equivalent atoms:
Nd 0.0000 0.2470 0.0000 [4 per cell]
Nd 0.1532 0.2498 0.6473 [8 per cell]
Nd 0.2419 0.0000 0.4188 [4 per cell]
Nd 0.2491 0.0000 0.0823 [4 per cell]
Dy 0.0002 0.0000 0.1758 [4 per cell]
Dy 0.0000 0.0000 0.5000 [2 per cell]
Dy 0.0000 0.5000 0.0000 [2 per cell]
Dy 0.0078 0.5000 0.3398 [4 per cell]
Ho 0.2383 0.5000 0.2331 [4 per cell]

Output
The value obtained for the spin magnetization is 0.000 μB per formula unit. The energy relative to the elements comes out at 0.48 eV per atom. As for the crystal system: monoclinic.


Record 2
A relaxed Rb2CeU2Te6 crystal. Source: the Alexandria database, functional PBE.

Unit cell a=7.7905 b=13.5523 c=9.1532 alpha=90.00 beta=106.30 gamma=90.00
Space group C2/m (No. 12)
One atom of each set of equivalent atoms:
Rb 0.0000 0.1645 0.0000 [4 per cell]
Ce 0.0000 0.0000 0.5000 [2 per cell]
U 0.0000 0.3333 0.5000 [4 per cell]
Te 0.2228 0.5000 0.6991 [4 per cell]
Te 0.2359 0.1700 0.6988 [8 per cell]

Output
The value obtained for the spin magnetization is 6.000 μB per formula unit. Its total energy is -5.460 eV per atom. As for the crystal system: monoclinic.


Number 2 is which compound? Rb2CeU2Te6


spin magnetization of number 1 (Nd5Dy3Ho)? 0.000 μB per formula unit


Number 1 is which compound? Nd5Dy3Ho


Look up the spin magnetization of the first one. 0.000 μB per formula unit

* * * * *

Entry 1:
A plane-wave DFT calculation with PBE was carried out for a relaxed structure of ScAlGe.

Structure (CIF):
```
data_ScAlGe
_cell_length_a 9.923
_cell_length_b 3.925
_cell_length_c 5.967
_cell_angle_alpha 90.00
_cell_angle_beta 108.83
_cell_angle_gamma 90.00
_space_group_name_H-M_alt 'C 1 2/m 1'
_space_group_IT_number 12
_space_group_name_Hall '-C 2y'
loop_
_atom_site_label
_atom_site_type_symbol
_atom_site_fract_x
_atom_site_fract_y
_atom_site_fract_z
Sc1 Sc 0.137 0.000 0.316
Al1 Al 0.184 0.000 0.837
Ge1 Ge 0.000 0.500 0.000
Ge2 Ge 0.000 0.500 0.500
```

## Properties
- calculated volume (A^3/atom) = 18.3
- energy of formation from the pure elements (kJ/mol of formula units) = -133

Entry 2:
A plane-wave DFT calculation with PBE was carried out for a relaxed structure of ScAlGe.

Structure (CIF):
```
data_ScAlGe
_cell_length_a 3.953
_cell_length_b 9.966
_cell_length_c 5.534
_cell_angle_alpha 90.00
_cell_angle_beta 90.00
_cell_angle_gamma 90.00
_space_group_name_H-M_alt 'C m c m'
_space_group_IT_number 63
_space_group_name_Hall '-C 2c 2'
loop_
_atom_site_label
_atom_site_type_symbol
_atom_site_fract_x
_atom_site_fract_y
_atom_site_fract_z
Sc1 Sc 0.000 0.186 0.250
Al1 Al 0.000 0.500 0.000
Ge1 Ge 0.000 0.117 0.750
```

## Properties
- calculated volume (A^3/atom) = 18.2
- energy of formation from the pure elements (kJ/mol of formula units) = -171

Entry 3:
-- stop --
- He was a tall, coltish, bespectacled young man, curiously lovable. ( वह एक लंबा, सांवला, संकोची युवक था, उत्सुकता से प्यारा। )
- Another friend, a bespectacled accountant and reader of science fiction novels, interrupted him. ( एक अन्य मित्र, एक काल्पनिक लेखाकार और विज्ञान कथा उपन्यासों के पाठक, ने उसे बाधित किया। )
- She was, by her own account, ‘a squat, bespectacled child who lived mostly in books and daydreams’. ( वह अपने स्वयं के खाते,, एक स्क्वाट, bespectacled बच्चे, जो ज्यादातर किताबों और दिवास्वप्नों में रहते थे। )
- In hesitant English, the bespectacled Thai man thanks all the foreigners who have helped his community, raising the biggest cheer of the night. ( हिचकिचाहट वाली अंग्रेजी में, बेईमान थाई व्यक्ति ने उन सभी विदेशियों का शुक्रिया अदा किया, जिन्होंने अपने समुदाय की मदद की, रात का सबसे बड़ा जयकार। )
- Her bespectacled child seems little interested in the menu. ( उसका बच्चा बच्चा मेनू में बहुत कम दिलचस्पी लेता है। )
More Sentence
- Bald, bespectacled and soft-spoken to a fault, he looks less hip than shyly professorial.
- The short, bespectacled monk has influence, power, certainly money.
- He's maybe late forties, early fifties, bookish, greying, bespectacled , wispy - perhaps an academic.
- Walking along the sidelines, and later addressing them in the locker room, is a bespectacled white man in his 50s.
- It was a picture of a bespectacled President signing some important looking documents.
- I've noticed I don't really make eye contact with people when I'm bespectacled .
- He's got a certain charm, though, and his podgy, bespectacled appearance puts the audience at their ease.
- A bespectacled couple is slow-dancing in the corner, eyes locked on each other.
- He startled the clerk - who had never been robbed by a small bespectacled white boy before - more than a little.
- At last, she spotted a bespectacled man in the crowd and grabbed his hands.
- After fifteen minutes the train came and Amy piled on with the other bespectacled youths.
- The night is waning when a clean-cut, bespectacled comedian comes on.
- With his bespectacled studious appearance, people often take him for scholar, writer or even a photographer.